Hellraisers Journal – Sunday October 24, 1920
Mother Jones News for September 1920, Part II Found in Stone Cutters’ Journal: Los Angeles Speech of March 7th
From The Stone Cutters’ Journal of September 1920:
Mother Jones Speaks in Los Angeles.
Los Angeles Times March 11, 1920
Mother Jones spoke to the workers in the Labor Temple in Los Angeles recently. She said in part:
Fellow Workers:-I came here to rest, but I never allow rest to interfere with an opportunity to spread my religion among the workers. First of all, I want to say to you secret service men, get out your books and pencils and come right up here on the platform, and listen closely to every word I say. You might learn something for your own good-some new ideas might percolate through your thick skulls, and you might form a desire to lead a cleaner, better, more useful life.
Fellow workers, you are today in a most critical position. You are either facing liberty and emancipation or else if you don’t wake u , you are going into the blackest, most abject slavery ever known by man in the history of this world.
We whipped the Kaiser abroad and all his autocrats; now, let’s clean ’em up at home.
The inhuman way in which the workers were dealt with in, the steel strike is a fair example of the Prussianism of big business. They tell you that the steel strike was lost, but I say to you that the steel strike was one of the greatest victories ever won by labor in this country—great, because 350,000 workers of all nationalities, and different tongues, stood shoulder to shoulder, and demonstrated what “solidarity” means. They paralyzed one of our strongest industries, and the supply of steel will not be normal for six months yet.
There’s a great cry going up now to Americanize these foreigners—that’s the trouble with them now, they are Americanized. Most of them were imported here 20 years ago or more by those patriotic profiteers, Carnegie, and Gary, to act as scabs during the Homestead strikes— they scabbed then, and broke that strike, but they’re Americanized now and there’s no scabs in their families any more. You can bet on that.
They have learned what true “Americanism” means, and they want it; they want freedom and decent working conditions and they’ll get it some day.
They’ve been slaving 12 and 14 hours a day, with a 24-hour shift every other Sunday. That’s not Americanism, and that’s why they struck. They are not machinery or animals; they’re human beings and they want a square deal.
Hellraisers Journal – Tuesday October 9, 1900 Mahanoy City, Pennsylvania – Mother Jones Interviewed by Olivia Howard Dunbar
From the New York Evening World of September 25, 1900:
Strikers Friend Tells Some Plain Truths About the Great Struggle Between the Miners and Operators. ——-
(Special to The Evening World.)
MAHANOY CITY, Pa., Sept. 25.-“Please tell all the readers of The Evening World for me that we have succeeded in crippling the operators, that the situation is most encouraging, and that we expect an early victory.”
This was the message that “Mother” Jones intrusted to me to-day, and she smiled hopefully as she said it. Ceaselessly vigilant, she had come to Mahanoy City to dull any possible echo of the carnival of strife and slaughter that has resounded so menacingly through Shenandoah.
The situation was tense when she arrived, but there had been no outbreak. Outwardly the little city was unruffled. Early in the morning I had found a group of swarthy, eager-eyed Hungarian women applauding an effigy of a non-union workman that had been bound to an electric-light pole on Eighth street.
Their voices were shrill, their gestures violent. The suggestive spectacle had aroused all their fury against the class that they consider selfishly retards the movement that means life or death to them.
Hellraisers Journal – Sunday August 28, 1910 Fresno, California – Fellow Workers Arrested for Speaking on Street
W. H. Little, secretary of Local 66, his wife, Emma Little, brother, Frank Little, and one other Fellow Worker, were arrested Wednesday evening, August 24th, for street-speaking. A call for assistance has been issued.
Sept 15, 1913 – Trinidad, Colorado
Convention of District 15 of the United Mine Workers of America
# Someone pasted quantum chemistry results at this point
# 1
A cluster of 2 separate species, C9H14O in total in a non-equilibrium geometry, computed with wB97M-V/def2-TZVPD.

The lowest unoccupied orbital energy comes out at 0.87 eV. As for the spin multiplicity: 1.

Geometry as XYZ:
```
24
Properties=species:S:1:pos:R:3:lowdin_charge:R:1
H 0.696 -2.178 4.065 0.11
H -1.464 -3.005 3.214 0.06
H 2.416 1.006 -0.833 0.08
C -1.760 0.852 -2.130 -0.08
O 1.662 -2.389 2.284 -0.11
H 0.114 -0.330 -2.585 0.11
H -1.702 3.672 -0.347 0.11
H -3.238 2.061 -1.328 0.10
H 2.362 0.477 -2.534 0.07
H -2.437 0.073 -2.461 0.10
C 0.434 -2.156 3.001 -0.30
H 0.850 3.384 -0.721 0.11
H 0.254 -1.133 2.728 0.10
C 0.536 1.522 -1.752 -0.29
C -0.638 -3.188 2.548 -0.07
C -1.254 2.935 -1.023 -0.10
H -0.128 -4.155 2.570 0.07
C 0.101 2.716 -1.113 -0.05
H 2.038 -3.198 2.639 0.07
H 2.545 2.128 -2.216 0.08
H -0.871 -2.906 1.517 0.07
C -2.166 2.015 -1.521 -0.12
C -0.362 0.561 -2.173 -0.05
C 2.013 1.234 -1.829 -0.07
```

=====

# 2
The molecule C3H5NO2 in a non-equilibrium geometry, computed with wB97M-V/def2-TZVPD.

The lowest unoccupied orbital energy comes out at 0.11 eV. As for the spin multiplicity: 1.

Geometry as XYZ:
```
11
Properties=species:S:1:pos:R:3:lowdin_charge:R:1
C -1.006 -1.008 -0.094 -0.36
N -0.106 0.032 -0.165 -0.13
O -0.688 2.289 0.911 0.14
H -2.043 -0.700 -0.335 0.13
H 1.394 -0.766 1.051 0.09
O -0.738 -2.156 0.200 0.03
H -0.922 1.331 -1.042 0.13
H 1.851 0.660 0.074 0.08
H 1.712 -0.943 -0.682 0.10
C 1.289 -0.276 0.085 -0.07
C -0.743 1.536 -0.004 -0.14
```

=====

# 3
A structure of composition C33H82CrN5O11 in a non-equilibrium geometry, computed with wB97M-V/def2-TZVPD.

As for the expectation value of S²: 8.755. The lowest unoccupied orbital energy (spin up / spin down) comes out at 0.52 / 0.42 eV. As for the spin multiplicity: 6.

Geometry as XYZ:
```
132
Properties=species:S:1:pos:R:3:mulliken_spin:R:1
H -3.858 0.136 -2.881 0.00
H 3.715 6.889 -7.551 0.00
O -2.594 1.455 -2.231 0.00
H -2.438 -0.245 -5.125 0.00
O 2.258 2.313 3.080 0.04
H 2.365 2.338 1.093 0.03
H 2.500 4.620 -4.845 0.00
H -2.709 -5.227 4.768 0.00
H 0.966 8.723 -8.543 0.00
H -1.251 3.574 8.196 0.00
H -4.092 2.852 -2.214 0.00
H 2.148 0.413 6.217 -0.03
H -0.930 -4.020 -1.504 0.00
C -2.059 0.014 -4.136 0.00
C 1.684 3.546 3.529 0.03
H -5.986 -6.066 5.868 0.00
C 0.672 4.846 -5.703 0.00
C -2.502 -4.959 -6.276 0.00
C 0.098 0.479 -0.017 0.00
C 2.934 4.983 -6.808 0.00
C -1.872 -4.380 1.476 0.00
H -0.391 -5.542 -2.254 0.00
H -3.051 -4.377 -7.016 0.00
C -0.581 -0.080 1.209 -0.01
Cr 2.289 -0.018 3.356 4.45
H -2.402 -3.763 0.750 0.00
H 2.493 4.270 3.629 0.00
H -4.423 -6.700 5.550 0.00
O 0.618 4.216 -3.385 0.00
H -0.983 4.013 -2.054 0.00
H 0.078 2.914 -4.993 0.00
H -1.133 -0.935 0.819 0.00
H 2.469 -3.958 4.656 0.01
H -1.465 -5.145 -6.556 0.00
H 2.623 -1.961 0.630 -0.03
H 5.191 -0.950 1.586 -0.03
H -4.205 1.532 -1.017 0.00
C -0.069 -0.688 5.153 0.02
H -2.382 3.021 7.181 0.00
H -0.743 -3.238 -4.740 0.00
N 3.495 0.267 1.429 0.08
H 0.485 5.848 -5.318 0.00
# The entry goes on
The delegates opened their convention by singing The Battle Cry of Union:
We will win the fight today, boys,
We’ll win the fight today,
Shouting the Battle Cry of Union;
We will rally from the coal mines,
We’ll fight them to the end,
Shouting the Battle Cry of Union.
The Union forever, hurrah boys, hurrah!
Down with the Baldwins and up with the law;
For we’re coming, Colorado, we’re coming all the way,
Shouting the Battle Cry of Union.
The miners faced the grim prospect of going out on strike against the powerful southern coalfield companies, chief among them, John D Rockefeller’s Colorado Fuel and Iron Company. The coal operators had steadfastly refused to recognize the Union and had ignored all attempts at negotiation.
The miners had had their fill of dangerous working conditions, crooked checkweighmen, long hours, and low pay. They lived in peonage in company towns, were paid in company scrip, and were forced to shop for their daily needs in high-priced company stores which kept them always in debt. But, mostly they hated the notorious company guard system. Every attempt to organize had been met with brutality on the part of the coal operators.
Mother Jones addressed the convention for over an hour, urging the men to:
Rise up and strike! …Strike and stay with it as we did in West Virginia. We are going to stay here in Southern Colorado until the banner of industrial freedom floats over every coal mine. We are going to stand together and never surrender…
Pledge to yourselves in this convention to stand as one solid army against the foes of human labor. Think of the thousands who are killed every year and there is no redress for it. We will fight until the mines are made secure and human life valued more than props. Look things in the face. Don’t fear a governor; don’t fear anybody…You are the biggest part of the population in the state. You create its wealth, so I say, “Let the fight go on; if nobody else will keep on, I will.”
Hellraisers Journal – Wednesday February 11, 1920
Youngstown, Ohio – Mary Heaton Vorse Visit the Home of a Striker
From The Outlook of January 21, 1920:
[Part I of II.]
[Leaving the Picket Line in Youngstown, Ohio:]
It was seven o’clock. The morning vigil was over; the strike was unbroken. The deluge had not occurred. The men, weary with watching, broken with inaction and with suspense, drifted to their homes.
“You’re cold, ma’am,” my guide said to me, gently; “I want you should come to my house to get breakfast; my house it ain’t far.”
It seemed to me an imposition to appear in a strange woman’s house at that hour in the morning, especially as Mike let fall casually that he had eight children. A strike and eight children and a husband seemed to me quite enough for any woman to cope with, but he would not let me go without a cup of coffee. We walked past little detached dwellings, small frame houses and some of concrete.
These have been lately built. They show the modern impulse toward better housing. Here and there a rambler was planted over a door; there were porches, and plots of ground surrounded the houses. This was the most meritorious community, from the point of view of decency, that I have seen in any steel town.
Later we met a handsome lad coming out of the gate—Steve’s oldest boy on his way to high school. Then we went into the kitchen, and my first impression was of rows and rows of brightly polished shoes all ready to be hopped into—any amount of brightly polish-little shoes standing neatly two by two.
Now, any student of domestic life will know what this means. How many families are there who can get the boys to black their shoes the night before? I can’t in my household—indeed, it takes savage pertinacity to st shoes blacked at all. Just the sight of those shoes made me realize that my hostess was no ordinary woman. In the meantime Mike was calling up the stairs:
Mother, come down and see who’s here! Come down and see what I’ve got in the kitchen!” To hear him one would have supposed that I was a birthday present. And when “mother” appeared there was nothing that could have shown a third person that I was not an old friend. The owners of the shiny shoes came into the room with their shy “good mornings.”
Hellraisers Journal – Tuesday February 10, 1920
Youngstown, Ohio – Mary Heaton Vorse Observes the Picket Line
From The Fresno Morning Republican of February 8, 1920:
Mary Heaton Vorse can see-and tell what she sees. Her study of a Slovak steel striker is mighty well done, entitled “Behind the Picket Line,” in the Outlook for January 21.
[Emphasis added.]
From The Outlook of January 21, 1920:
[Part I of II.]
[Note: see Introduction by “The Editors” below.]
When I got out of the street car, he detached himself from the darkness and murmured:
“Ma’am, I come to meet you.”
It was not yet five, and black as midnight, except as the fiery salvos of the newly started blast-furnace of the Ohio plant shattered the night with glory. No need to ask how he knew me. Women do not usually get off the cars at five in the morning at this point.
On my way to the picket line I had been alone, with the exception of two uneasy-looking scabs. I didn’t look at them. I didn’t like to. The right of the individual workman to work when and how he wished seemed a rather hypocritical theory to me at that moment. It seemed about as tenable as the right of the individual citizen to desert to the enemy in war time.
For weeks I had been immersed in the strike. I had gone merely as an observer, rather skeptically even, and the thundering immensity of the thing had caught me up.
The people—that is to say, the public, those not directly interested—look on strikes as unchancy occurrences, violent manifestations which interfere with the ordered flow of existence. Something that wouldn’t happen at all if it were not for “outside agitators”—that most slippery of all explanations.
What had happened to me was that I had looked at the strike close to, and it had resolved itself into the lives of human beings—thousands of human beings thinking the same thing, thousands of human beings hoping the same thing, thousands and thousands of human beings hoping and willing the same thing, with the terrible patience of the simple. It is a dramatic thing when thousands of men all through the country, men in eight different States, men in fifty different towns and communities, all decide to stay home, all decide to do nothing, because they wish to alter certain conditions.
Men who never saw each other, men who never will see each other, many men who couldn’t understand each other if they were to meet, all doing the same thing, sitting quiet—abstaining violently from action, all bound together by the same thought—the men in all these widely sundered communities thinking together about the same thing. That is one of the things a strike resolves itself into when you look at it close to.
Hellraisers Journal – Saturday February 5, 1910
Trinidad, Colorado – Primero Mine Disaster Leaves 300-400 Children Fatherless
From The Fort Collins Express of February 3, 1910:
At 11:30 tonight a messenger reported from a point about half way between here and Primero that fifteen bodies bad been recovered and that 135 more were in the mine with no hope of being rescued alive.
The cause of the explosion is unknown. A rescue party that left this city is expected back about 2 o’clock in the morning with complete reports of the disaster.
The criticism being directed against the company owning the mine is very severe as there is an apparent attempt to prevent the details from being made public. A large number of men who worked in the mine live in Trinidad, going back and forth on miners’ trains each morning and evening. Great excitement prevails in this city among the wives and children of the entombed men.
Hellraisers Journal – Sunday January 4, 1920
Mary Heaton Vorse Reports from Front Lines of Great Steel Strike
From The Liberator of January 1920:
The Steel Strike
By Mary Heaton Vorse
AT the beginning of the fourth month of the strike, at a moment when the newspapers have definitely decided that there is no strike, the strike still cripples production of steel 50 per cent. These are figures given by the steel companies to the financial columns of the daily press. One would think that the strike would have been definitely battered down and the account closed for good in at least a few towns.
One would think that the might of the steel companies, backed by the press, reinforced by the judiciary, local authorities and police, and self-appointed “citizens’ committees,” would have finished this obstinate strike. One would think it would have been kicked out, smothered out, stifled out, bullied out, brow-beaten out, stabbed out, scabbed out, but here they are hanging on in the face of cold weather, in the face of abuse and intimidation, in the face of arrests, in the face of mob violence-and these are dark days too.
These are days when the little striking communities are steeped in doubt, when the bosses go around to the women and plead with them almost tearfully to get their husbands to go back to work before their jobs are lost. These are the days when in these isolated places every power that the companies know is brought to bear upon the strikers to make them believe that they and they alone are hanging on, that the strike is over everywhere else and that this special town will be the goat.
People talk of the steel strike as if it were one single thing. In point of fact, there are 50 steel strikes. Literally there are 50 towns and communities where there to-day exists a strike. The communication between these towns is the slenderest, the mills and factories which this strike affects line the banks of a dozen rivers. The strike is scattered through a half a dozen states.
This is something new in the history of strikes-50 towns acting together. Pueblo acting in concert with Gary; Birmingham, Alabama, keeping step with Rankin and Braddock, Pennsylvania. How did it happen that these people; so slenderly organized, separated by distance, separated by language, should have acted together and have continued to act together?
Some of the men have scarcely ever heard a speaker in their own language. Some of the men are striking in communities where no meetings are allowed. Sitting at home, staying out, starving, suffering persecution, suffering the torture of doubt, suffering the pain of isolation, without strike discipline and without strike benefits, they hold on. What keeps them together?
Hellraisers Journal – Saturday December 20, 1919
Mary Heaton Vorse on Organizing Steel Workers in Youngstown
From the Pittsburg [Kansas] Workers Chronicle of December 19, 1919:
(By Mary Heaton Vorse.)
Not long ago a friend of mine came to Pittsburgh [Pennsylvania] who wanted to know about the strike. He wanted me to tell him first of all what had impressed me most. My answer was the answer that anyone who had watched the strike must have given. What had impressed me the most was the courage of the men; what had impressed me the most was their endurance; what had impressed me most was their uncomplaining patience.
It had seemed almost a miracle to me that men of a dozen or more nationalities and half a dozen states, separated into isolated communities, should one fine day have struck altogether, 350,000 strong.
The longer I stayed and the more knew about the strike, the more in credible did the strike seem, for as I went from town to town staying a few days now in one community and now in another, I realized how little organization they had before the strike started.
Take Youngstown for instance. No one had ever organized Youngstown and everyone said that Youngstown never could be organized.
In Youngstown and East Youngstown and the nineteen small communities surrounding it where steel is made, there are about 70,000 steel workers. The first large meeting ever held of the National Committe occurred in January of this year. Between that time and September 22 there was never a larger force of organizers in this whole district than six. Six men organized Youngstown and the surrounding country. Six men and that was all.
Hellraisers Journal – Monday November 29, 1909
Cherry, Illinois – Heartbreaking Scenes Described by Luella Twining
From the Appeal to Reason of November 27, 1909:
== Misplaced records of molecules ==
The following is a DFT calculation (the ωB97M-V functional and the def2-TZVPD basis) of C5H8O3 in the gas phase.

Results
molecular weight = 116.12 g/mol
energy above the lowest of the compared OMol25 structures with the same formula, charge and spin = 4.5564 eV
orbital gap = 7.72 eV
HOMO = -7.8189 eV

Geometry (Å):
C 0.037 1.719 -0.490
C -0.817 0.977 0.332
C -0.583 -2.195 0.226
C 0.213 -1.045 0.780
C 0.757 0.059 -0.628
O 0.829 2.662 0.143
O 0.729 -1.007 1.856
O 0.587 -0.481 -1.720
H 1.507 2.970 -0.469
H -0.250 1.934 -1.516
H 1.689 0.280 -0.101
H -0.757 1.102 1.404
H -1.683 0.499 -0.100
H 0.115 -2.983 -0.066
H -1.139 -1.910 -0.663
H -1.234 -2.580 1.012

----------

(1)
{
  "formula": "C26H21N8PdSe2",
  "method": "ωB97M-V/def2-TZVPD",
  "e_tot_ha": -6371.97746,
  "spin_multiplicity": 1,
  "fmax_ev_per_a": 0.3,
  "gap_ev": 5.63,
  "total_charge": 1,
  "elements": ["Pd", "N", "C", "C", "C", "C", "C", "C", "C", "C", "C", "C", "C", "C", "N", "C", "C", "C", "C", "N", "H", "H", "H", "H", "H", "H", "H", "H", "H", "H", "Se", "N", "C", "C", "C", "C", "N", "C", "N", "H", "H", "H", "C", "N", "C", "C", "N", "C", "C", "Se", "H", "H", "H", "H", "H", "H", "H", "H"],
  "positions_angstrom": [[0.162, -0.738, -0.078], [-4.917, 6.971, -4.482], [-4.385, 6.078, -3.995], [-3.717, 4.960, -3.383], [-2.512, 5.156, -2.714], [-1.873, 4.080, -2.122], [-2.425, 2.806, -2.206], [-3.630, 2.616, -2.875], [-4.279, 3.688, -3.461], [-1.733, 1.654, -1.561], [-1.130, 0.716, -2.391], [-1.225, 0.662, -3.805], [-0.659, -0.524, -4.206], [-0.201, -1.155, -3.036], [-0.465, -0.429, -1.954], [-1.819, 1.569, -0.170], [-2.637, 2.357, 0.675], [-2.573, 1.798, 1.934], [-1.714, 0.693, 1.827], [-1.255, 0.553, 0.583], [-2.084, 6.148, -2.659], [-0.939, 4.227, -1.595], [-4.062, 1.625, -2.930], [-5.218, 3.548, -3.978], [-1.681, 1.415, -4.426], [-0.568, -0.910, -5.207], [0.311, -2.103, -2.984], [-3.224, 3.204, 0.361], [-3.087, 2.117, 2.826], [-1.448, 0.002, 2.613], [1.816, 0.001, 2.843], [1.680, -1.018, 4.273], [0.899, -2.035, 3.967], [0.522, -3.087, 4.860], [-0.304, -4.038, 4.371], [-0.761, -3.971, 3.006], [-0.444, -3.048, 2.151], [0.383, -2.073, 2.622], [0.770, -1.060, 1.864], [0.891, -3.089, 5.876], [-0.640, -4.860, 4.987], [-1.429, -4.747, 2.647], [3.830, 0.279, -0.533], [4.026, -0.877, 0.335], [4.987, -0.995, 1.315], [4.822, -2.209, 1.884], [3.756, -2.811, 1.251], [3.246, -4.149, 1.532], [3.283, -1.995, 0.293], [1.867, -2.340, -0.883], [4.664, 0.960, -0.389], [2.893, 0.779, -0.289], [3.788, -0.050, -1.568], [5.702, -0.216, 1.514], [5.368, -2.695, 2.673], [3.899, -4.614, 2.264], [3.239, -4.737, 0.618], [2.230, -4.091, 1.916]],
From page 5:
Owners of St. Paul Mine Guilty of Manslaughter.
-Cherry Under Martial Law.
Special Correspondence to the Appeal.
Cherry, Ill., Nov. 17.-To stay in Cherry, Ill., one half an hour is to be convinced that the miners entombed there were murdered as surely as though the mine owners had taken them into the road and shot them down one by one.
“Why were the miners kept at work two hours after the fire had broken out in the mine?” is the question asked by the bereaved widows. It is not put in that form. I heard it asked in many different ways. A German woman looked at me wildly and asked, “What for they no tell my man? He work two hours by the fire. Now he die. They murder my man.” These poor women do not wait for the mine owners to answer. “They care for mine and no for man,” a Lithuanian said to me and indeed one is forced to believe it. They do not state the question as clearly as Karl Marx’s exposition of the profit system, but it is equally as illuminating. If the United Mine Workers should murder 500 mine owners would they not be punished?